
What motivates you

So.....for the past several weeks, I have been looking for something to really motivate me to get back to working out and eating better.  Nothing I seemed to try would get me back "into it."  I had gained about 12 pounds back, of the weight I had lost and I couldn't be more disappointed in myself. 

Quintin gave me a little motivation...or he tried to.  And he was on the right track.  I really thought he had hit the jackpot with this one.  As you know, we are getting ready for our 2nd annual stay-cation.  It is August 30-September 1.  Friday until Sunday.  It was a lot of fun last year and I can't seem to get it out of my head as it nears.  Super excited!

Anyway...Q's idea was that for every TWO days that I worked out and ate healthy, he would spend an hour working on the upstairs.  NO BRAINER, right???  Yeah...that's what I thought.  I wish diabetes wasn't so hard to live with.  I was stoked when he first came up with this idea.  I couldn't wait to get home and get started, getting back on track. 
Now...for those of you with diabetes and/or love someone with diabetes...it isn't always as easy as it may seem.  I was stoked but I was still exhausted.  I still didn't want to put anymore into anything, than I needed to.  I would sleep 12 hours at a time because at least I knew I wasn't eating and my blood sugar would be forced to go down.  I wasn't willing to go the extra mile.  And so...there sat my AB lounger...in the corner...just crying for my attention.  I gave it a little bit of attention though.  I put the walker on top of it. 

Yes...there it sat in my livingroom with a flattened out walker sitting upside-down on top of it so I could keep Miss Bella from trying to get in it and getting stuck.  The walker...not the AB Lounger.  Many of you may know that this situation ate at me.  It drove me crazy that my house not only isn't back in order but if ANYONE stopped by, they were going to see my crap piled up on top of my exercise equipment that I obviously am not using.  Because I still have what some call a spare tire. 
I like to think of myself as the Midas Mom. 


A couple of days after Q had presented me with this idea, he started working on the upstairs.  I had no choice but to help him.  After all, he had TRIED to motivate me.  It just didn't work.  Yes, I can hear what you're thinking.  "Poor Q."  Don't worry, I hear that all the time!  This time though, I was the one thinking it.  Here I had let him down too.  The only thing I could do at this point was to just bust my ass and help him get these projects dwindled down.

I'm not so crazy as to think he's going to get all his "in-the-works" projects done before my friends show up to have an adult weekend but I am just crazy enough to push push push until we get as many done as possible.  So I started pitching trash and sheet rock out of the upstairs bathroom window, into his trailer.  I didn't stop until ALL of it was out of there.  Some of the stuff was heavy but I made myself do it.  Me and my weenie arms. 

## Inserted here: crystal structures
********
Structure and computed PXRD pattern of KFeCo (a cell relaxed with GGA-PBE; λ = 1.5418 Å (Cu Kα)).
Peak positions follow from Bragg's law for the DFT cell and can differ from measured ones.

Peak list (10 most intense, 15° ≤ 2θ ≤ 90°, by angle)
Position (°2θ)	Rel. int.
29.91	100
32.51	39
39.79	21
40.40	94
43.26	37
47.71	28
51.07	80
57.34	27
76.77	15
83.81	19

Structural model:
Lattice parameters (Å, degrees): 6.421 6.421 6.421 155.23 145.46 42.97
Element x y z (fractional)
K 0.000 0.000 0.000
Fe 0.736 0.736 0.000
Co 0.267 0.267 0.000

~~~~~

# 1
Starting from a cell relaxed with GGA-PBE, the powder diffraction line list of SrMgF4 was calculated for a wavelength of 1.5418 Å.

The 10 most intense peaks (2θ = 5–70°), sorted by position:
index	2θ/deg	d_spacing	I_rel
0 2 1	19.79	4.487	48
0 4 0	24.38	3.651	36
1 1 1	27.97	3.189	100
1 3 0	28.92	3.088	35
0 4 1	29.06	3.073	63
0 0 2	31.46	2.844	23
1 5 1	41.46	2.178	61
1 3 2	43.25	2.092	78
2 0 0	45.42	1.997	40
0 8 1	52.65	1.738	28

Crystal structure
```
data_SrMgF4
_chemical_formula_sum 'Sr4 Mg4 F16'
_cell_length_a 3.994
_cell_length_b 14.605
_cell_length_c 5.687
_cell_angle_alpha 90.00
_cell_angle_beta 90.00
_cell_angle_gamma 90.00
_space_group_name_H-M_alt 'C m c 21'
_space_group_IT_number 36
_space_group_name_Hall 'C 2c -2'
loop_
_atom_site_label
_atom_site_fract_x
_atom_site_fract_y
_atom_site_fract_z
Sr1 0.000 0.157 0.000
Mg1 0.000 0.416 0.051
F1 0.000 0.084 0.569
F2 0.000 0.298 0.244
F3 0.000 0.338 0.766
F4 0.000 0.466 0.386
```


# 2
Starting from a cell relaxed with GGA-PBE, the powder diffraction line list of MgTiF5 was calculated for a wavelength of 1.5418 Å.

The 10 most intense peaks (2θ = 5–70°), sorted by position:
index	2θ/deg	d_spacing	I_rel
1 1 0	18.08	4.906	18
2 0 0	22.95	3.875	91
2 0 -2	26.43	3.373	16
1 1 -2	27.67	3.224	100
0 2 0	28.16	3.168	37
4 0 0	46.89	1.938	38
2 0 -4	48.62	1.873	22
1 3 -2	49.54	1.840	48
5 1 -2	55.26	1.662	32
2 2 -4	57.13	1.612	14

Crystal structure
```
data_MgTiF5
_chemical_formula_sum 'Mg4 Ti4 F20'
_cell_length_a 8.618
_cell_length_b 6.337
_cell_length_c 7.491
_cell_angle_alpha 90.00
_cell_angle_beta 115.94
_cell_angle_gamma 90.00
_space_group_name_H-M_alt 'C 1 2/c 1'
_space_group_IT_number 15
_space_group_name_Hall '-C 2yc'
loop_
_atom_site_label
_atom_site_fract_x
_atom_site_fract_y
_atom_site_fract_z
Mg1 0.000 0.023 0.250
Ti1 0.000 0.500 0.000
F1 0.000 0.363 0.250
F2 0.011 0.191 0.950
F3 0.246 0.476 0.628
```


# 3
Starting from a cell relaxed with GGA-PBE, the powder diffraction line list of MgTiF4 was calculated for a wavelength of 1.5418 Å.

The 10 most intense peaks (2θ = 5–70°), sorted by position:
index	2θ/deg	d_spacing	I_rel
0 0 1	17.34	5.113	6
1 0 0	24.71	3.603	6
1 0 1	30.35	2.945	77
1 1 1	39.52	2.280	4
1 0 2	43.40	2.085	2
2 0 0	50.61	1.804	100
2 1 0	57.17	1.611	1
1 0 3	60.05	1.541	10
2 1 1	60.22	1.537	19
2 1 2	68.88	1.363	1

Crystal structure
```
data_MgTiF4
_chemical_formula_sum 'Mg1 Ti1 F4'
_cell_length_a 3.603
_cell_length_b 3.603
_cell_length_c 5.113
********
## So much for the crystal structures

He got the "bastard joints" done in the new closet and got it textured.  That makes me laugh.  Bastard joints.  As soon as that dried, I got busy painting it.  Chocolate brown.  It's gorgeous.  I may never come out of the closet again!!!  About a year and a half ago, we got some hard wood floor laminate on a FB swap site and I had forgotten about it.  Q pulled it out and got it put in the closet.  It's amazing.  All I am waiting for now is the trim to be cut and put on and my clothes rack installed.  Then I can USE it! 

Now...it won't be done then, but it will be USABLE!  I am so excited!!!  About a closet!!  Maybe his little plan was back-firing on me.  The more I looked at what was getting done, the more I wanted to do.  I wasn't exercising though.  I had incorporated more fruits in my diet than what I was doing before, but still wasn't getting any "exercise" in. 

Then I get a phone call. 

Someone I love very very much called with some news that they were just diagnosed with diabetes.  I could have fallen over by the stroke of a feather.  The last person on earth that I ever would have imagined getting this stupid diagnosis.  And it hurt my feelings.  Bad. 
I know it has nothing to do with me; the part that they became diabetic.  Because I know that if we are taking care of ourselves, it wouldn't happen. Well for the most part anyway.  For some reason, I had to hold back tears as they told me what their doctor said.  And this person has it easy right now.  What I wouldn't give to go back to that point and start over.  "No meds at this time.  See if you can control it with diet and exercise."  Oh yeah...and lose some weight before you come back in a few months. 

So easy for a doctor to spit out when they don't have to deal with this stuff.  Conversations about what to eat. What we get tired of eating.  What are the do's.  What are the do not's.  What about substitutions.  What about eating at restaurants.  What about when you're in a group setting.  It all came up and I did the best I could...considering I'm a really bad person to turn to when it comes to eating "right."

So...I'm not sure why this hit me as hard as it did.  When I hung up, I cried.  I felt like I had not only let myself down (HUGE) but I had let this person down.  This person I love with all of my heart.  I felt like...I don't know how to put this...as long as I have been dealing with this...I should have been a better "role model," so to speak. 

I should have been taking care of myself and never stopping so this person could have maybe prevented this...or fought it without knowing.  Does that make sense?  I feel like I have betrayed us.  I feel like a big fat loser.  An ugly, out-of-shape loser that has let down all of her loved ones.

So I'm back on the wagon.  THAT phone call was the thing that lit the fire under my ass.  Under my heart.  Under my heels.  It has me going strong right now so I am just going to go with it.  Because I don't know how long this spurt will last.  I can only hope this was the last motivating reminder I will ever need.  Today, the walker got put away and the AB lounger got pulled back out. 

I have my alarm set for every half hour...since I haven't exercised for a long time...and then I have five minutes to do fifty crunchers.  So far today I have done three hundred and fifty crunchers.  I still have to go to work later today so I am limited on what I can do but at least I've started back up. 

Tomorrow, I will add fifty weight lifts...with my five and ten pound weights...for my arms.  Since I don't own a kettle ball or whatever those things are called.  Make do with what you have, right?!

So say a little prayer for me please.  Pray that I will keep on keeping on and I will continue to lose weight and get healthy.  Not just for me...but for those that I love; and love me.  And while you're at it...say a prayer for all of those around us that are dealing with internal killers...both silent and not-so-silent.  Life is hard but having the added pressure of illness makes it even harder. 

Until next time...thanks for reading! 

1 comment:

  1. remember too, that the staycation you have to be topless the whole time.
